Read After Sundown Page 14

Chapter Fourteen

  Marisa glanced at the clock as the knock came again. "Who on earth can that be?"

  Grigori kissed her cheek as he rose from the sofa. "It's Ramsey. "

  Marisa glanced at the clock. It was almost two A. M. People did not make social calls at such an hour. Of course, for vampires, two in the morning was not considered late.

  She felt a shiver of unease. Ever since his last visit, she had been troubled about Edward. She thought she might be picking it up from her husband, who, on more than one occasion, had alluded to the new vampire's unexpected power and constant mental turmoil. During the hunt for Alexi, Edward had often come to see her. It was unsettling to think of him now, roaming the night like those he had once hunted.

  She heard muffled voices as Grigori opened the front door, then their footsteps: Grigori's, light, almost soundless; Ramsey's, heavier, more determined.

  "Hello, Edward," she said when he entered the room.

  "I'm sorry to come calling so late. Or so early. "

  "Vampire social hours," she said, smiling. "We were just watching an old movie. "

Someone pasted materials data at this point =
Record 1
Computed, not measured: a relaxed structure of NaAsSO2 at the PBE level of DFT.

Cell and atoms, written as POSCAR:
```
NaAsSO2
1.0
-2.001 -2.785 2.002
5.663 -3.144 1.287
0.410 2.106 3.341
Na As S O
1 1 1 2
Direct
0.000 0.000 0.000
0.000 0.500 0.000
0.500 0.500 0.500
0.000 0.000 0.500
0.500 0.000 0.000
```

Properties
Formation energy without anion corrections ... 0.800 eV per atom



Record 2
Computed, not measured: a relaxed structure of NaPr2ReN4 at the PBE level of DFT.

Cell and atoms, written as POSCAR:
```
NaPr2ReN4
1.0
5.857 0.249 0.000
-0.238 5.857 0.000
-2.810 -3.053 3.773
Na Pr Re N
1 2 1 4
Direct
0.999 0.999 0.998
0.750 0.250 0.499
0.250 0.750 0.499
0.500 0.500 0.000
0.641 0.641 0.843
0.360 0.799 0.158
0.799 0.360 0.158
0.202 0.202 0.843
```

Properties
Formation energy without anion corrections ... -0.696 eV per atom



Record 3
Computed, not measured: a relaxed structure of Pr2Nd5SmDy at the PBE level of DFT.

Cell and atoms, written as POSCAR:
```
Pr2Nd5SmDy
1.0
8.802 0.000 0.000
0.000 8.802 0.000
-4.401 -4.401 8.199
Pr Nd Sm Dy
4 10 2 2
Direct
0.120 0.380 0.000
0.620 0.120 0.000
0.380 0.880 0.000
0.880 0.620 0.000
0.929 0.429 0.283
0.645 0.145 0.717
0.071 0.571 0.717
0.145 0.071 0.717
0.571 0.645 0.717
0.855 0.929 0.283
0.429 0.355 0.283
0.355 0.855 0.283
0.500 0.500 0.000
0.000 0.000 0.000
0.250 0.250 0.500
0.750 0.750 0.500
0.250 0.750 0.500
0.750 0.250 0.500
```

Properties
VASP energy ... -4.480 eV per atom



Record 4
Computed, not measured: a relaxed structure of ScCd2Cl at the PBE level of DFT.

Cell and atoms, written as POSCAR:
```
ScCd2Cl
1.0
-0.472 -4.094 3.194
4.365 1.424 2.471
-1.885 1.942 2.211
Cd Cl Sc
2 1 1
Direct
0.000 0.000 0.000
0.500 0.500 0.000
0.500 0.000 0.500
0.000 0.500 0.500
```

Properties
E above lowest polymorph ... 344.8 meV per atom
Formation energy without anion corrections ... -0.246 eV per atom



Record 5
Computed, not measured: a relaxed structure of ZrZn2Ag at the PBE level of DFT.

Cell and atoms, written as POSCAR:
```
ZrZn2Ag
1.0
9.854 0.039 0.023
9.410 2.923 0.023
9.410 1.447 2.540
Ag Zn Zr
1 2 1
Direct
0.745 0.745 0.745
0.000 0.000 0.000
0.254 0.254 0.254
0.502 0.502 0.502
```

Properties
VASP energy ... -3.448 eV per atom



Record 6
Computed, not measured: a relaxed structure of TbErBeNi at the PBE level of DFT.

Cell and atoms, written as POSCAR:
```
TbErBeNi
1.0
4.786 0.000 0.000
2.393 4.144 0.000
2.393 1.381 3.907
Ni Tb Be Er
1 1 1 1
Direct
0.000 0.000 0.000
0.250 0.250 0.250
0.500 0.500 0.500
0.750 0.750 0.750
```

Properties
VASP energy ... -4.820 eV per atom



Record 7
Computed, not measured: a relaxed structure of AlB2P at the PBE level of DFT.

Cell and atoms, written as POSCAR:
```
AlB2P
1.0
4.370 0.000 0.000
0.000 4.169 0.000
-1.851 0.000 6.826
P B Al
2 4 2
Direct
0.477 0.500 0.610
0.914 0.000 0.158
0.173 0.195 0.671
0.173 0.805 0.671
0.911 0.500 0.636
0.259 0.500 0.837
0.341 0.000 0.986
0.002 0.500 0.350
```

Properties
E above lowest polymorph ... 15.0 meV per atom
Here the article continues =

  He matched her smile, with no hint of loathing or pain. She observed him closely. He looked different somehow, though she couldn't put her finger on it. Perhaps it was just that he was "aging" as a vampire, that he was becoming more comfortable with what he was. Once, she would not have noticed him in a crowd; now, he exuded a sense of power and self-confidence that he had not possessed before.

  "Please," she said, "sit down. "

  Ramsey sat on the love seat, his fingers drumming on the arm. Grigori resumed his place beside her on the sofa. Almost before he was settled, Ramsey stood up and began to pace.

  Marisa looked at Grigori, a question in her eyes.

  "Ramsey, did you come here to wear a path in our carpet?" Grigori asked, his voice tinged with amusement.

  Ramsey paused in midstride to glare at Chiavari. Then, blowing out a sigh of exasperation, he sank down on the love seat again. "Khira," he said heavily. "I've angered her. "

  Chiavari nodded slowly. "Not a pretty sight when she's angry. "

  Ramsey grunted softly.

  "What happened?" Marisa asked.

  As quickly as possible, Ramsey related his activities with Khira: the hunt, the victim, Khira's insistence that Ramsey finish the poor devil off. He glanced at Marisa. She looked pale. How could such things bother her so much when she lived with a vampire? Vampires survived by feeding off the lives of others. Chiavari was no exception; he had fed from her on more than one occasion.

  "She wanted me to kill him," Ramsey said, "but I just couldn't do it. "

  "So, he's still alive? That man?" Marisa asked hopefully.

  "No. Khira loves killing too much to be merciful. Besides, he was too far gone. . . "

  "There's something else," Chiavari said. "Something you are not telling us. "

  "The other night, she wanted me to. . . " Ramsey cleared his throat. "The other night. . . "

  "Go on," Chiavari said, "What did she want you to do?"

  "Soon after she got here, she took me hunting. " Ramsey glanced at Marisa, then looked away. "And then she took me to bed. I don't know what I was thinking! I guess maybe I wasn't thinking. The other night, I refused. " Ramsey glanced at Marisa again. "She seems to think that I belong to her now. "

  Grigori slid a sidelong glance at his wife and sighed heavily. "Khira does not take rejection well," he said. "As I recall, she is not accustomed to having anyone tell her no. About anything. "

  Ramsey nodded.

  Marisa met her husband's sideways look with one eyebrow raised. "You seem to be speaking from experience. "

  "'Twas in another country," Grigori said, and smiled wryly. "And besides, the wench is. . . Do you really want me to answer that?"

  "That's some kind of quote isn't it?" she asked.

  "Yes, from The Jew of Malta . Marlowe. Khira was determined I know all the arts, become a polished gentleman. Now, I ask you again, do you really want me to answer your question?"

  "Yes," Marisa replied, and then shook her head. "No, I don't want to know. "

  "Khira has always been impulsive," Grigori remarked. "She is a very sexy, very sensual creature. I suspect she was that way before the Dark Gift. Totally self-absorbed. And with the power she has now. . . " He shrugged. "She has no need to consider anything but her own gratification. She often acts without thinking. " He shook his head. "One would think she would have gained a little maturity, a little self-control, over the ages. "

- - -
RbAc2OsO8 PBE relaxed; crystal system = monoclinic; volume = 15.1 A^3/atom; total magnetic moment = 0.87 μB/cell; SG = P2/m; formation energy (no corrections) = -1.998 eV per atom
1.0
5.504 0.017 -0.022
-0.011 4.403 0.633
0.027 1.054 7.652
Rb Ac Os O
1 2 1 8
Cartesian
0.013 0.527 3.826
2.769 2.502 6.276
2.750 2.973 1.987
0.000 0.000 0.000
-0.001 3.160 2.056
4.098 4.535 7.364
4.087 0.949 0.889
5.520 2.314 6.206
1.421 0.940 0.898
1.433 4.526 7.373
2.756 4.205 4.313
2.764 1.270 3.950


Compound: TbYInPb
Source: Alexandria
Functional: PBE-GGA
Structure: relaxed

Summary:
The calculation puts the energy above the lowest structure with this stoichiometry at 16 kJ/mol of formula units. The calculation puts the formation enthalpy at 0 K at -0.42 eV per atom.

a b c (Å): 5.403 5.403 5.403
angles (deg): 60.00 60.00 60.00
Sites, in units of the cell vectors:
1 Pb 0.250 0.250 0.250
2 In 0.750 0.750 0.750
3 Tb 0.500 0.500 0.500
4 Y 0.000 0.000 0.000



Compound: AgAsBr2
Source: Alexandria
Functional: PBE-GGA
Structure: relaxed

Summary:
The calculation puts the energy above the lowest structure with this stoichiometry at 153 kJ/mol of formula units. The energy relative to the elements, uncorrected comes out at 25.1 kJ per mole of atoms.

a b c (Å): 8.796 8.796 8.796
angles (deg): 23.65 23.65 23.65
Sites, in units of the cell vectors:
1 As 0.750 0.750 0.750
2 Ag 0.250 0.250 0.250
3 Br 0.508 0.508 0.508
4 Br 0.992 0.992 0.992



Compound: SnMoBr2
Source: Alexandria
Functional: PBE-GGA
Structure: relaxed

Summary:
The calculation puts the energy above the lowest structure with this stoichiometry at 52 kJ/mol of formula units. The energy relative to the elements, uncorrected comes out at 21.6 kJ per mole of atoms.

a b c (Å): 9.231 9.231 7.067
angles (deg): 49.23 49.23 90.00
Site moments in Bohr magnetons follow the coordinates.
Sites, in units of the cell vectors:
1 Mo 0.250 0.750 0.500  1.60
2 Br 0.256 0.625 0.250  0.04
3 Br 0.494 0.125 0.250  0.04
4 Sn 0.000 0.000 0.000  -0.02
5 Sn 0.750 0.250 0.500  -0.02
6 Br 0.875 0.744 0.750  0.04
7 Br 0.375 0.506 0.750  0.04
8 Mo 0.500 0.500 0.000  1.60



Compound: La7Zn6
Source: Alexandria
Functional: PBE-GGA
Structure: relaxed

Summary:
The calculation puts the formation enthalpy at 0 K at 0.15 eV per atom.

a b c (Å): 9.601 9.601 9.601
angles (deg): 43.48 43.48 43.48
Sites, in units of the cell vectors:
1 La 0.398 0.398 0.935
2 La 0.065 0.602 0.602
3 La 0.602 0.065 0.602
4 Zn 0.662 0.662 0.662
5 La 0.398 0.935 0.398
6 La 0.935 0.398 0.398
7 La 0.500 0.500 0.500
8 Zn 0.952 0.952 0.952
9 Zn 0.143 0.143 0.143
10 La 0.602 0.602 0.065
11 Zn 0.857 0.857 0.857
12 Zn 0.338 0.338 0.338
13 Zn 0.048 0.048 0.048



Compound: Li3Cd6In2
Source: Alexandria
Functional: PBE-GGA
Structure: relaxed

Summary:
The calculation puts the energy above the lowest structure with this stoichiometry at 0 kJ/mol of formula units. The calculation puts the formation enthalpy at 0 K at -0.14 eV per atom.

a b c (Å): 6.596 8.663 13.569
- - -
[End of the data records]

  "She scares me," Ramsey admitted.

  Chiavari chuckled softly. "Smart man. I should stay out of her way until she cools off, if I were you. "

  "That's my plan," Ramsey muttered. "Damn, I don't have a hope in hell of defending myself against her. "

  "There is an unwritten law among our kind: Vampyre does not kill Vampyre," Chiavari said.

  "You killed Kristov. "

  "Yes. It happens from time to time. Khira killed the one who made her. And I suspect she has killed others who got in her way. "

  "She killed Dracul," Ramsey said. "She told him to leave town. Apparently he refused. "

  Chiavari nodded. "She is a law unto herself. I suspect she has destroyed LaSalle, as well. I no longer sense his presence in the city. "

  "He's gone. She told him she wanted his house. And he gave it to her, just like that. "

  "It is a wise man who gives her what she wants. "

  Marisa laid her hand on Grigori's arm. "Perhaps we should leave town. "

  "Is that your wish? To leave here?"

  "No, but I don't want her coming after you. "

  "She has always had a, shall we say, a fondness for me," Chiavari said wryly. "I do not believe she will do me any harm. "

  Ramsey glanced at Marisa, then turned his attention to Chiavari once again. "She may be fond of you. But what of Marisa?"

  "To harm what is mine is to harm me," Chiavari said.

  "Do you think you could take her in a fight?"

  "I don't know," Chiavari grunted softly. "I hope I never have to find out. "

  "Me, too," Ramsey said fervently.

  "Be careful, Edward," Marisa said. "Promise me. "

  " Careful ismy middle name," he said, rising.

  Chiavari stood up. "I'll see you out. "

  "Good night, Edward," Marisa said.

  "Good night. " Ramsey followed Chiavari out onto the porch. "So?"

  "Be careful of Khira. She can be ruthless and utterly cruel. "

  Ramsey nodded. "I know. I've seen what she's capable of. I'm no match for her. "

  "Perhaps not yet," Grigori said, "but you are not helpless or weak. Only young in the ways of the Dark Gift. There is powerful blood in your veins, Ramsey. Mine. Alexi's. And Khira's. She will find it difficult to destroy you if you keep your wits about you. If she threatens you, reach deep down inside yourself and call on the power that is there. "

  "Why didn't you tell me this before?"

  "You did not need to know before. You were far too interested in being destroyed then. Now that someone else may want you dead, you seem to have a new interest in staying alive. The longer you survive, the stronger you will become. And you are surprisingly strong already. You did refuse her, after all. Twice. And you are still alive. "

  Ramsey stared at Chiavari, his mind reeling as he sought to understand what he'd just been told. Almost against his will, he felt a flash of hope. "Am I as powerful as she is? As you are?"

  "To my knowledge, no Vampyre who still lives is as powerful as Khira. As for myself. . . " Grigori shrugged.

  "Is there any way to keep her from reading my thoughts?"

  "You can learn to guard your thoughts. It ta
kes practice and a good deal of self-control, but it's like anything else. The more you do it, the easier it becomes. "

  "Can I block you, too?"

  "Try. "

  Grigori focused on Ramsey. "You are thinking of a woman. Kelly. She sleeps in your house. You are afraid she may be in danger. From Khira. And from yourself. "

  "If I can't block you, how can I hope to block Khira?"

  "The bond between the two of us is more immediate and therefore stronger. Try again. "

  Ramsey imagined himself building a wall between his mind and Chiavari's. A thick concrete wall. It took every ounce of concentration.

  Chiavari laughed softly. "Well done. "

  Ramsey grunted.

  "As I said, it will grow easier with practice. Do not hesitate to call on me if I can be of help. "

  "You're telling me the truth? About blocking you?"

  "You did surprisingly well, considering it was your first attempt. Practice. "

  "I will. " He hesitated, then added, "Thank you. "

  "Good night. "

  Ramsey thought about what Chiavari had told him as he walked home. He could have transported himself there with a thought, but he had always enjoyed walking. The night was cool and crisp, with a hint of fall in the air. With his vampire eyes, he saw the world so clearly -  the beauty, the ugliness.

  " There is powerful blood in your veins. " Chiavari's words echoed in his mind. Powerful blood . It eased his fear of Khira a little to know he wasn't completely helpless, completely at her mercy.

  He let his mind expand, reached down inside himself. He could feel the power resting deep within him, waiting to be summoned. It frightened him even as it filled him with a sense of exultation.

  Even if he couldn't beat her, he would give her one hell of a fight.